## Given
=====
Arrangement A

The following is a GGA+U calculation of crystalline MgV8O8F8 at its relaxed geometry, from Materials Project. Values from VASP.

```
&SYSTEM
  ibrav = 0, nat = 25, ntyp = 4
/
ATOMIC_SPECIES
Mg 24.30 Mg.upf
V 50.94 V.upf
O 16.00 O.upf
F 19.00 F.upf
CELL_PARAMETERS angstrom
4.910 0.000 0.000
0.082 5.658 0.000
0.029 0.970 10.643
ATOMIC_POSITIONS angstrom
Mg 0.000 0.000 0.000
V 0.103 1.351 6.287
V 2.423 5.908 8.864
V 2.376 0.772 1.111
V 2.513 2.349 4.050
V 2.584 4.145 6.551
V 4.778 3.335 1.562
V 4.863 3.188 9.103
V 4.980 5.200 3.712
O 0.788 5.121 1.734
O 0.910 1.259 4.590
O 1.575 5.788 7.170
O 1.527 1.839 9.749
O 3.403 2.489 5.850
O 3.464 4.277 8.379
O 3.862 3.481 3.196
O 4.143 1.867 0.310
F 0.880 4.856 9.861
F 0.970 3.042 7.257
F 1.568 4.058 4.717
F 1.550 2.393 2.123
F 3.327 4.676 0.227
F 3.284 0.708 3.043
F 4.022 5.308 5.683
F 4.076 1.360 8.417
```

Output
**Theoretical density**: 4.00 Mg/m³
**Magnetization**: 0.72 μB per atom

Arrangement B

The following is a GGA+U calculation of crystalline MgV8O8F8 at its relaxed geometry, from Materials Project. Values from VASP.

```
&SYSTEM
  ibrav = 0, nat = 25, ntyp = 4
/
ATOMIC_SPECIES
Mg 24.30 Mg.upf
V 50.94 V.upf
O 16.00 O.upf
F 19.00 F.upf
CELL_PARAMETERS angstrom
4.912 0.000 0.000
-0.216 5.745 0.000
-0.089 -0.965 10.377
ATOMIC_POSITIONS angstrom
Mg 0.000 0.000 0.000
V -0.044 -0.483 5.189
V -0.108 2.873 0.000
V -0.113 3.427 7.547
V 2.179 4.140 2.523
V 2.456 0.000 0.000
V 2.303 2.390 5.189
V 2.427 0.640 7.854
V 4.719 1.353 2.831
O 0.823 3.593 5.957
O 1.095 4.377 0.788
O 0.988 4.848 8.721
O 1.323 2.583 3.358
O 3.284 2.197 7.019
O 3.619 -0.067 1.656
O 3.511 0.404 9.590
O 3.783 1.187 4.420
F 1.083 -0.290 3.391
F 0.945 1.921 8.567
F 1.083 1.372 0.897
F 1.370 0.758 6.064
F 3.236 4.022 4.313
F 3.523 3.408 9.480
F 3.662 2.859 1.810
F 3.524 5.070 6.986
```

Output
**Theoretical density**: 4.04 Mg/m³
**Magnetization**: 0.72 μB per atom

Q: Which of them is the least stable? A: arrangement B.

Arrangement A

The following is a GGA+U calculation of crystalline MgV8O8F8 at its relaxed geometry, from Materials Project. Values from VASP.

```
&SYSTEM
  ibrav = 0, nat = 25, ntyp = 4
/
ATOMIC_SPECIES
Mg 24.30 Mg.upf
V 50.94 V.upf
O 16.00 O.upf
F 19.00 F.upf
CELL_PARAMETERS angstrom
4.964 0.000 0.000
-0.293 5.670 0.000
-0.085 -1.140 10.382
ATOMIC_POSITIONS angstrom
Mg 0.000 0.000 0.000
V -0.051 0.362 3.913
V -0.164 2.306 8.817
V -0.222 4.238 6.571
V 2.123 5.016 1.537
V 2.264 3.201 3.934
V 2.415 -0.303 9.010
V 2.466 1.321 6.229
V 4.762 2.348 1.284
O 0.435 4.206 8.506
O 0.632 3.944 0.488
O 0.860 0.212 5.722
O 1.245 4.927 3.162
O 3.312 1.426 4.548
O 3.882 2.506 7.144
O 4.098 0.428 1.857
O 4.096 0.721 9.850
F 0.667 2.146 3.112
F 1.358 3.102 5.828
F 1.570 1.071 0.604
F 1.545 1.402 8.185
F 2.961 3.596 9.865
F 3.132 3.271 2.016
F 3.364 -0.363 7.121
F 3.858 4.274 4.673
```

Output
**Theoretical density**: 4.04 Mg/m³
**Magnetization**: 0.72 μB per atom

Arrangement B

The following is a GGA+U calculation of crystalline MgV8O8F8 at its relaxed geometry, from Materials Project. Values from VASP.

```
&SYSTEM
  ibrav = 0, nat = 25, ntyp = 4
/
ATOMIC_SPECIES
Mg 24.30 Mg.upf
V 50.94 V.upf
O 16.00 O.upf
F 19.00 F.upf
CELL_PARAMETERS angstrom
4.859 0.000 0.000
-0.090 5.664 0.000
-0.331 -1.276 10.717
ATOMIC_POSITIONS angstrom
Mg 0.000 0.000 0.000
V -0.165 4.160 6.546
V -0.038 2.213 8.984
V 2.057 3.061 3.949
V 2.220 4.779 1.331
V 2.215 -0.400 9.388
V 2.369 1.305 6.768
V 4.461 2.170 1.742
V 4.594 0.207 4.172
O 0.723 4.311 4.771
O 0.744 2.490 7.274
O 1.279 3.094 2.198
O 1.110 3.442 10.088
O 3.325 0.939 0.632
O 3.148 1.286 8.519
O 3.679 1.875 3.448
O 3.705 0.053 5.945
F 0.632 0.291 2.106
F 0.483 0.554 10.151
F 1.277 1.374 4.867
F 1.305 -0.354 7.459
F 3.135 4.713 3.257
F 3.146 2.993 5.849
F 3.956 3.827 0.557
F 3.805 4.098 8.615
```

Output
**Theoretical density**: 4.01 Mg/m³
**Magnetization**: 0.72 μB per atom

Arrangement C
=====

## Exercise
Count the lines above that contain the word "Mg" and give the number alone.

## Completed
12